Movements focused on sustainable development are rapidly gaining traction at the international level. Here are a few tips for getting up to speed to take advantage of this potential niche market.
As defined by the United Nations World Commission on Environment and Development in 1987, and still applicable today, sustainable development is “development that meets the needs of the present without compromising the ability of future generations to meet their own needs.”1
Sustainable development is based on the interplay of two key concepts: 1) needs (specifically of the world’s poor), and 2) limitations imposed by technology and society on the environment’s ability to meet present and future needs.
The term “sustainability” was first used in the 17th and 18th centuries in relation to “sustainable forest management” and “sustainable yield,” which eventually formed the basis of the environmental movement started by Aldo Leopold in the 1930s and 1940s. Considered by many to be the father of wildlife ecology and the U.S. wilderness system, Leopold was a conservationist, forester, philosopher, educator, writer, and outdoor enthusiast. Among his best-known ideas is the “land ethic,” which calls for an ethical, caring relationship between people and nature. The themes with which Leopold struggled in his work (i.e., the speed of industrialization and its impact on the natural world) dominated environmental discourse during the 1960s and 1970s.2
The first topic addressed by sustainable development that comes to mind is environmental conservation, but there are many interconnecting areas in the field of sustainable development itself, as listed below.
- Social movements:
Entry 1:
74
Properties=species:S:1:pos:R:3:mulliken_charge:R:1 method="wB97M-V/def2-TZVPD" relative_energy_kj_mol=0.0 orbital_gap_ev=7.617 lumo_ev=-0.3
Hg -0.251 -0.014 -0.094 2.60
C -1.295 1.822 -4.321 -1.48
C -0.656 1.602 -2.972 -0.32
O -1.290 0.739 -2.077 0.25
H -0.849 2.655 -4.865 0.38
H -2.372 1.985 -4.289 0.28
H -1.156 0.919 -4.914 0.30
H -0.822 2.621 -2.622 0.19
H 0.419 1.428 -2.930 0.26
C 2.123 -1.830 3.616 -1.57
C 1.538 -1.875 2.264 0.14
O 0.392 -1.074 1.990 -0.63
H 2.527 -0.845 3.847 0.29
H 2.921 -2.562 3.740 0.44
H 1.399 -2.031 4.406 0.32
H 1.287 -2.926 2.121 0.39
H 2.358 -1.615 1.595 -0.25
O 1.949 0.816 -0.241 0.17
H 2.190 1.709 -0.486 0.15
H 2.738 0.300 -0.407 -0.12
O 1.422 1.369 3.376 -0.72
H 1.368 1.222 4.320 0.28
H 0.970 0.619 2.989 0.18
O -0.142 2.171 0.812 -0.47
H 0.604 2.620 1.210 0.08
H -0.824 2.840 0.756 0.24
O 0.907 -1.617 -1.441 -0.42
H 1.354 -1.534 -2.284 0.17
H 0.916 -2.556 -1.256 0.17
O 2.074 -1.234 -3.635 -0.58
H 1.783 -0.943 -4.499 0.25
H 2.808 -1.823 -3.814 0.23
O 2.379 3.408 1.953 -0.64
H 3.326 3.515 1.860 0.30
H 2.277 2.605 2.463 0.34
O -2.012 -1.693 -3.617 -0.69
H -2.769 -1.437 -4.145 0.31
H -1.824 -0.925 -3.079 0.11
O -0.978 -1.059 5.038 -0.70
H -0.502 -0.419 5.567 0.31
H -0.538 -1.044 4.188 0.28
O -1.743 -2.136 -0.891 -0.37
H -1.744 -2.513 -1.771 0.21
H -2.434 -2.610 -0.427 0.18
O 3.368 1.512 -3.501 -0.67
H 3.242 1.999 -2.687 0.33
H 2.986 0.652 -3.328 0.33
O -2.306 0.278 0.992 -0.29
H -2.392 -0.050 1.887 0.04
H -3.027 0.901 0.895 0.15
O -3.609 -1.135 3.368 -0.58
H -3.134 -1.273 4.187 0.29
H -4.202 -1.884 3.305 0.27
O -2.804 3.226 -0.975 -0.75
H -3.389 2.832 -0.329 0.44
H -2.409 2.481 -1.428 0.25
O -4.132 -0.341 -1.652 -0.67
H -3.211 -0.100 -1.551 0.21
H -4.142 -0.946 -2.393 0.27
O 1.916 -4.431 0.092 -0.59
H 2.574 -5.075 0.354 0.28
H 2.223 -3.607 0.471 0.29
O 4.041 -0.935 -0.961 -0.60
H 4.203 -1.617 -0.309 0.23
H 4.641 -0.228 -0.723 0.29
O -1.828 -3.263 2.178 -0.68
H -1.170 -2.680 1.799 0.17
H -2.528 -2.678 2.468 0.38
O -4.379 2.168 0.920 -0.66
H -4.000 2.861 1.462 0.31
H -5.313 2.184 1.129 0.22
O 3.026 3.250 -1.199 -0.66
H 3.618 3.385 -0.459 0.25
H 2.308 3.864 -1.048 0.28

Entry 2:
18
Properties=species:S:1:pos:R:3:nbo_charge:R:1 method="wB97M-V/def2-TZVPD" relative_energy_kj_mol=388.0 orbital_gap_ev=9.302 lumo_ev=0.7
C 2.694 -0.150 0.039 -0.24
C 1.999 -1.250 0.449 -0.19
C 1.952 0.875 -0.519 -0.19
C 0.643 -1.381 0.401 -0.32
C 0.601 0.823 -0.674 -0.32
C -0.003 -0.330 -0.146 0.04
C -2.715 0.492 1.032 -0.17
C -2.291 0.004 -0.292 0.56
O -2.938 -0.889 0.599 -0.51
O -2.778 0.248 -1.528 -0.69
H 3.729 -0.142 0.112 0.22
H 2.491 -2.013 0.984 0.20
H 2.627 1.825 -0.768 0.21
H 0.129 -2.210 1.018 0.24
H -0.121 1.604 -1.012 0.24
H -1.856 0.591 1.650 0.21
H -3.741 0.956 1.238 0.21
H -2.734 -0.597 -2.077 0.50

Entry 3:
13
Properties=species:S:1:pos:R:3:nbo_charge:R:1 method="wB97M-V/def2-TZVPD" relative_energy_kj_mol=559.2 orbital_gap_ev=9.998 lumo_ev=0.3
H -1.922 2.038 0.180 0.35
N -0.803 2.083 0.014 -0.55
- Historic preservation
- Placemaking (the planning, design, and management of public spaces)
- Sharing economy
- Environment:
- Sustainable agriculture
- Renewable energies
- Green building
- Energy efficiency
- International Development:
- Social inclusion
- Poverty reduction
- Gender equality
- Disease eradication
- Circular Economy: Looking beyond the current “take, make, and dispose” extractive industrial model, the circular economy is restorative and regenerative by design. Relying on system-wide innovation, it aims to redefine products and services to design waste out, while minimizing negative impacts. Such efforts include:
- Recovering
- Recycling
- “Downcycling” (when waste material is converted into something of lesser value)
- Reusing
- Repurposing
- “Upcycling” (reusing waste without destroying it to form something new)
- Remanufacturing
Future of Sustainable Development
The good news for translators is that sustainable development is a growing field. For example, it’s estimated that there are only about 100 manufacturing companies worldwide who have truly adapted a circular strategy, but that the circular economy could add US$2.6 trillion to the European economy by 2030.3
Cross-cultural communication is essential in achieving the goals the world has set for itself in this area. As a case in point, researchers have argued that language serves as a tool for sustainable development, specifically in regions such as Africa, where local languages must be taken into account.4 By communicating in the local language, we switch the focus to the local community as a relevant source of development.5 As described by Thomas Bearth (University of Zurich, Switzerland) and Diomandé Fan (University of Kassel, Germany) in 2004, “Economists have traced the failure to achieve objectives set in overseas development cooperation to what they call the ‘broken feedback loop’ […] i.e., a deficit in the flow of communication from the local community back to the sponsors.”6 This is just another incentive for translators to step in to help close the loop.
Staying Up-to-Date: Terminology Research
Given that sustainable development is a growing field, there is an abundance of material available to the public that will allow you to gain knowledge about the basic concepts and build your vocabulary. I suggest reading articles in the news, journals, and on websites focused on new initiatives and research. It’s also a good idea to follow companies and individuals who promote sustainable development on Twitter or other social media and to participate in the discussion. In addition, I would recommend taking MOOCs (massive open online courses) on related fields and attending relevant webinars and expos with the goal of increasing your knowledge and growing your network. Conducting searches online to see how other organizations use certain terms and referring to online dictionaries is also an excellent way to increase your knowledge base. In addition to information available in multiple languages on the United Nation’s website, many dictionaries and glossaries have been compiled on sustainable development by different governments, as listed below.
Sources for Terminology in the Field of Sustainable DevelopmentDictionnaire environnement (French-English) EnDic Environmental Dictionary Environmental Thesaurus GEMET—General Multilingual Environmental Thesaurus Glossary of Environmental Health Terms (U.S.) www.health.ny.gov/environmental/glossary Glossary of Environmental Science http://bit.ly/environmental-science United Nations Educational, Scientific and Cultural Organization Sustainable Development Goals http://en.unesco.org/sdgs United Nations Environment Glossary United Nations Sustainability Platform https://sustainabledevelopment.un.org Vocabulaire du développement durable (French Ministry of Culture) Vocabulaire du développement durable (Government of Quebec: French-English) http://bit.ly/2kqaOuI Vocabulaire panlatin du développement durable http://bit.ly/2wu7HDu Water Glossaries (multilingual) www.emwis.net/thematicdirs/glossaries In addition to the links above, a list of helpful resources in multiple languages has been posted on the website of ATA’s Science and Technology Division (http://bit.ly/ATA-Sci-Tech-environmental). |
Avoiding Neologisms
When reading about sustainable development, there are often new expressions and terms that have not yet become commonplace. While it’s tempting to sound “cutting-edge,” using neologisms is a matter of walking the line between what constitutes specialist knowledge and what the general public will understand. Therefore, it’s crucial to remember the importance of good writing. Using plain language is key to communicating ideas clearly, regardless of the field in which you work. Avoid buzzwords and remember the following stylistic tip, as offered by the Canadian government in their 1991 style guide: “Trendy, fashionable expressions […] are used far too often. They can undermine the impact of what you’re trying to say because they are not well understood by the public. The fact that they are trendy will also mean that they will soon date your writing. Avoid them.”7
Taking Advantage of Computational Lexicology
According to a study by Google and Harvard published in the journal Science in 2011, about 8,500 new words enter the English language annually. This resulted in a 70% growth of the lexicon between 1950 and 2000.8 Stemming from this research, a number of online tools have been developed that use what is known as “computational lexicology,” which is the analysis of millions of documents to determine the frequency of usage of words and expressions. The following are a few examples of such tools that can provide a snapshot of a word’s usage.
- Diatopix
Developed by Patrick Drouin at the University of Montréal, this tool allows you to see the frequency of usage of words and expressions in English, French, Spanish, and Portuguese according to specific regions. It’s a useful tool for making an argument to a client about why to use one term over another. - Google Ngram Viewer
While the Google Ngram viewer allows you to specify a language and timeframe, it’s arguably not the best tool due to poor optical character recognition, as the corpus of work uses digitally scanned books on topics ranging from scientific literature to fiction. This means that the results only consider a fraction of new words that have actually made it into print. - Google Scholar
This engine searches physical and digital copies of publications and is especially useful for academic research. With the option of specifying the search language, Google Scholar allows you to see how terms are used and in what context to verify that the translation you plan to use is suitable. - Le Révélateur linguistique (French only)
This tool provides quick Google search comparisons according to French and English language variants.
Finally, intuition is the most important tool of all. While you must always be prepared to give a well-informed explanation of your word choice to the client (based on frequency of use, grammar and punctuation rules, and reference dictionaries), your personal opinion can be just as persuasive.
Censorship and Changing Behavior through Language
As any translator knows, language is at the center of culture and belief systems and contains elements that can shape our lives (e.g., empowering and disempowering women, dispelling fear or perpetuating stigmas, passing down knowledge of traditional medicinal plants, or seeing that knowledge, and those plants, die off). When it comes to achieving change, it’s important to keep in mind that banning words is far less effective than making a persuasive case for better words. In general, it’s better to use language we perceive to be neutral and clear.
For example, a Change.org campaign was run in 2014 to “Stop Using the Term ‘Child Prostitute’” in an effort to avoid censorship and make society more compassionate. Over 150,000 supporters petitioned the Associated Press and argued that the terms child prostitute, juvenile prostitute, and child sex worker “suggest criminality when none exists.” It was recommended that these terms be replaced with the expression “survivors and victims of rape,” in the belief that, “Children who are bought and sold will continue to be treated as criminals, instead of as victims and survivors of child rape.”9
We must therefore remember the power of positive language and consider translation as an opportunity to change the way we view the world. Your clients are most likely unaware of the subtleties of the English language, and it will please them even more if you can explain that you chose to express an idea using words and phrases that are intended to promote change. It may be as simple as referring to unemployed homeless individuals as “homeless individuals estranged from the job market” to remove the negative connotation association with the word “unemployed.” Many times, the source text will already convey these nuances, and so it may be an issue of simply conserving them in your translation.
Cultural Differences
The cultural nuances of language are essential in making different sustainability movements compatible in another country. As language specialists, we know that some words carry more weight than others in certain languages, which can make conveying their power in another language difficult. The same movement in one country may also focus on different aspects in another country. For example, the concept of écocitoyenneté in French has no equivalent in English. Reflecting the French value of being a good national citizen, this would most likely translate to “environmentally conscious world citizens” in English. Keeping these cultural differences and values in mind is important to have a greater impact on the target audience.
Tips for Getting Started
My first piece of advice is to follow your passion, since doing so will make you much more interested and engaged in your work. Developing a mission statement, identifying your target clientele, and fine-tuning your elevator pitch will make your efforts much more focused and help you find your own market niche. You should also ensure that your website, online profiles, and marketing materials clearly reflect your mission statement, as it will attract the type of people with whom you want to work.
To find and attract clients, initiate contact with potential clients by engaging on Twitter and LinkedIn and by attending industry events. My philosophy on networking, although energy-intensive, is that gaining one client through in-person networking or directed marketing efforts serves as a gateway to other clients, as word-of-mouth is the most effective (and effortless) way to get more clients.
If you don’t have prior experience, I suggest volunteering your services in the field of sustainable development, where a large number of clients are nonprofits that rely heavily on volunteers. This is an excellent way to build your vocabulary, become knowledgeable about basic concepts, and build your portfolio.
Finally, having an online portfolio and résumé that describe the projects you’ve worked on and how they helped clients advance their sustainable development goals shows potential clients that you’re forward-thinking and focused on their objectives. Listing your “ideal” projects or types of clients in your portfolio will help you attract more of the same in the future. It may help to come up with a list of issues that you’re passionate about, in addition to the key words associated with them, in order to better define what you’re looking for. Most of all, it’s important to remember that, in this field, expressing your values and goals can only help you.
Believe in What You’re Doing
The more you can show your clients that you understand and believe in the ideology of sustainable development, the more convinced they will be that you can provide them with quality translation services tailored to their needs and objectives. If you have this mindset and understand the sustainable development paradigm that takes an all-encompassing view of the world, you’ll come across to clients as a partner and someone who has the same goals in mind. As in any field, it’s important to focus on understanding the purpose of the translation, instead of simply trying to convince your client you can produce a “good” translation. You want to show them that your work is effective.
- Report of the World Commission on Environment and Development: Our Common Future (United Nations World Commission on Environment and Development, 1987), www.un-documents.net/our-common-future.pdf.
- Aldo Leopold Foundation, www.aldoleopold.org/about/aldo-leopold.
- Kiser, Barbara, “Circular Economy: Getting the Circulation Going,” Nature (March 2016), 443–444, http://bit.ly/Kiser-circular.
- Okafor, Monica, and Paulinus Noah. “The Role of Local Languages in Sustainable Community Development Projects in Ebonyi State, Nigeria,” European Scientific Journal (December 2014), 272–283, http://bit.ly/sustainable-community-development.
- “Why Language Matters for the Millennium Development Goals” (United Nations Educational, Scientific and Cultural Organization, 2012), http://bit.ly/UNESCO-language-matters.
- Bearth, Thomas, and Diomandé Fan. “The Local Language—A Neglected Resource for Sustainable Development,” Internet Journal for Cultural Studies (September 2004), http://bit.ly/Bearth-local-languages.
- Plain Language: Clear and Simple (Human Resources Development Canada, Canadian Government Publishing, 1991), http://bit.ly/Plain-English.
- Michel, Jean-Baptiste, Yuan Kui Shen, Aviva Presser Aiden, Adrian Veres, and Matthew K. Gray. “Quantitative Analysis of Culture Using Millions of Digitized Books,” Science (American Association for the Advancement of Science, January 2011), 176–182,
http://bit.ly/Harvard-quantitative-analysis. - Nunn, Gary. “Word Perfect: How Language Can Change Behavior,” The Sydney Morning Herald (April 25, 2016),
Natalie Pavey is a French>English translator specializing in sustainable development, marketing, and business communication. She has a master’s degree in French language and culture. Prior to becoming a translator, she spent two years participating in development projects in West Africa as a U.S. Peace Corps volunteer and worked in Katmai National Park in Alaska as a park ranger/interpreter. In addition to ATA, she is a certified member of the Corporation of Translators, Terminologists and Interpreters of New Brunswick and the Ordre des traducteurs, terminologues et interprètes agréés du Québec (Canada). Contact: n.pavey@nptranslations.com.